Job:
The reader should type out all of the contents further below without additions.

Given:
/*
1.
## Rb3ScF6 (r²SCAN)

Data for a geometry-optimized Rb3ScF6 structure.

Cell lengths 6.3808, 6.3808, 9.4276 Å; angles 90.00, 90.00, 90.00 degrees
Fractional coordinates of all 20 atoms:
Rb 0.0000 0.0000 0.0000
Rb 0.0000 0.5000 0.2500
Rb 0.0000 0.5000 0.7500
Rb 0.5000 0.0000 0.2500
Rb 0.5000 0.0000 0.7500
Rb 0.5000 0.5000 0.5000
Sc 0.0000 0.0000 0.5000
Sc 0.5000 0.5000 0.0000
F 0.0000 0.0000 0.2841
F 0.0000 0.0000 0.7159
F 0.1366 0.2860 0.5000
F 0.2140 0.3634 0.0000
F 0.2860 0.8634 0.5000
F 0.3634 0.7860 0.0000
F 0.5000 0.5000 0.2159
F 0.5000 0.5000 0.7841
F 0.6366 0.2140 0.0000
F 0.7140 0.1366 0.5000
F 0.7860 0.6366 0.0000
F 0.8634 0.7140 0.5000

The value obtained for the calculated total energy is -214.2 eV per cell. The formation energy is -3.513 eV/atom.

***

2.
## Rb3ScF6 (r²SCAN)

Data for a geometry-optimized Rb3ScF6 structure.

Cell lengths 6.5398, 6.5398, 6.5398 Å; angles 60.00, 60.00, 60.00 degrees
Fractional coordinates of all 10 atoms:
Rb 0.0000 0.0000 0.0000
Rb 0.2500 0.2500 0.2500
Rb 0.7500 0.7500 0.7500
Sc 0.5000 0.5000 0.5000
F 0.2820 0.2820 0.7180
F 0.2820 0.7180 0.2820
F 0.2820 0.7180 0.7180
F 0.7180 0.2820 0.2820
F 0.7180 0.2820 0.7180
F 0.7180 0.7180 0.2820

The value obtained for the calculated total energy is -106.8 eV per cell. The formation energy is -3.488 eV/atom.

***

3.
## Rb2TaF7 (r²SCAN)

Data for a geometry-optimized Rb2TaF7 structure.

Cell lengths 5.8237, 5.8890, 10.4652 Å; angles 90.00, 90.00, 90.00 degrees
Fractional coordinates of all 20 atoms:
Rb 0.2500 0.2500 0.0056
Rb 0.2500 0.7500 0.6376
Rb 0.7500 0.2500 0.3624
Rb 0.7500 0.7500 0.9944
Ta 0.2500 0.7500 0.2439
Ta 0.7500 0.2500 0.7561
F 0.0060 0.5340 0.2018
F 0.0060 0.9660 0.2018
F 0.2500 0.5469 0.3925
F 0.2500 0.7500 0.0508
F 0.2500 0.9531 0.3925
F 0.4940 0.5340 0.2018
F 0.4940 0.9660 0.2018
F 0.5060 0.0340 0.7982
F 0.5060 0.4660 0.7982
F 0.7500 0.0469 0.6075
F 0.7500 0.2500 0.9492
F 0.7500 0.4531 0.6075
F 0.9940 0.0340 0.7982
F 0.9940 0.4660 0.7982

The value obtained for the calculated total energy is -265.1 eV per cell. The formation energy is -3.419 eV/atom.

***

Number 1: total magnetic moment 0.00 μB per formula unit. Number 2: total magnetic moment 0.00 μB per formula unit. Number 3: total magnetic moment 0.00 μB per formula unit.

~~~~~

First-principles (PBE with a Hubbard U) data for a geometry-optimized Sr5Ca3MnFe7O24 structure, as listed in Materials Project.

```
data_Sr5Ca3MnFe7O24
_chemical_formula_sum 'Sr5 Ca3 Mn1 Fe7 O24'
_space_group_name_H-M_alt 'P 1'
_space_group_IT_number 1
_space_group_name_Hall 'P 1'
_cell_length_a 7.776
_cell_length_b 7.776
_cell_length_c 7.771
_cell_angle_alpha 89.99
_cell_angle_beta 89.99
_cell_angle_gamma 89.99
loop_
_atom_site_label
_atom_site_type_symbol
_atom_site_fract_x
_atom_site_fract_y
_atom_site_fract_z
Ca1 Ca 0.251 0.749 0.251
Ca2 Ca 0.749 0.749 0.251
Ca3 Ca 0.749 0.251 0.251
Sr1 Sr 0.250 0.250 0.750
Sr2 Sr 0.250 0.750 0.750
Sr3 Sr 0.750 0.750 0.750
Sr4 Sr 0.250 0.250 0.250
Sr5 Sr 0.750 0.250 0.750
Fe1 Fe 0.501 0.501 0.002
Fe2 Fe 0.501 0.999 0.498
Fe3 Fe 0.501 0.999 0.002
Fe4 Fe 0.999 0.501 0.002
Fe5 Fe 0.999 0.999 0.002
Fe6 Fe 0.999 0.999 0.498
Fe7 Fe 0.999 0.501 0.498
O1 O 0.249 0.997 0.496
O2 O 0.501 0.501 0.748
O3 O 0.503 0.997 0.249
O4 O 0.997 0.251 0.004
O5 O 0.748 0.501 0.494
O6 O 0.999 0.751 0.494
O7 O 0.503 0.249 0.004
O8 O 0.751 0.501 0.006
O9 O 0.997 0.503 0.249
O10 O 0.503 0.252 0.496
O11 O 0.251 0.997 0.004
O12 O 0.999 0.501 0.751
O13 O 0.501 0.999 0.751
O14 O 0.997 0.249 0.496
O15 O 0.249 0.503 0.004
O16 O 0.999 0.999 0.749
O17 O 0.503 0.503 0.252
O18 O 0.501 0.751 0.006
O19 O 0.997 0.997 0.251
O20 O 0.999 0.749 0.006
O21 O 0.501 0.748 0.494
O22 O 0.252 0.503 0.496
O23 O 0.751 0.999 0.494
O24 O 0.749 0.999 0.006
Mn1 Mn 0.501 0.501 0.498
```

Calculated values
SG: Cm (8)
ΔE_f (eV per atom): -2.237

---

First-principles (PBE with a Hubbard U) data for a geometry-optimized Sr6Ca2MnFe7O24 structure, as listed in Materials Project.

```
data_Sr6Ca2MnFe7O24
*/

Here it is:
1.
## Rb3ScF6 (r²SCAN)

Data for a geometry-optimized Rb3ScF6 structure.

Cell lengths 6.3808, 6.3808, 9.4276 Å; angles 90.00, 90.00, 90.00 degrees
Fractional coordinates of all 20 atoms:
Rb 0.0000 0.0000 0.0000
Rb 0.0000 0.5000 0.2500
Rb 0.0000 0.5000 0.7500
Rb 0.5000 0.0000 0.2500
Rb 0.5000 0.0000 0.7500
Rb 0.5000 0.5000 0.5000
Sc 0.0000 0.0000 0.5000
Sc 0.5000 0.5000 0.0000
F 0.0000 0.0000 0.2841
F 0.0000 0.0000 0.7159
F 0.1366 0.2860 0.5000
F 0.2140 0.3634 0.0000
F 0.2860 0.8634 0.5000
F 0.3634 0.7860 0.0000
F 0.5000 0.5000 0.2159
F 0.5000 0.5000 0.7841
F 0.6366 0.2140 0.0000
F 0.7140 0.1366 0.5000
F 0.7860 0.6366 0.0000
F 0.8634 0.7140 0.5000

The value obtained for the calculated total energy is -214.2 eV per cell. The formation energy is -3.513 eV/atom.

***

2.
## Rb3ScF6 (r²SCAN)

Data for a geometry-optimized Rb3ScF6 structure.

Cell lengths 6.5398, 6.5398, 6.5398 Å; angles 60.00, 60.00, 60.00 degrees
Fractional coordinates of all 10 atoms:
Rb 0.0000 0.0000 0.0000
Rb 0.2500 0.2500 0.2500
Rb 0.7500 0.7500 0.7500
Sc 0.5000 0.5000 0.5000
F 0.2820 0.2820 0.7180
F 0.2820 0.7180 0.2820
F 0.2820 0.7180 0.7180
F 0.7180 0.2820 0.2820
F 0.7180 0.2820 0.7180
F 0.7180 0.7180 0.2820

The value obtained for the calculated total energy is -106.8 eV per cell. The formation energy is -3.488 eV/atom.

***

3.
## Rb2TaF7 (r²SCAN)

Data for a geometry-optimized Rb2TaF7 structure.

Cell lengths 5.8237, 5.8890, 10.4652 Å; angles 90.00, 90.00, 90.00 degrees
Fractional coordinates of all 20 atoms:
Rb 0.2500 0.2500 0.0056
Rb 0.2500 0.7500 0.6376
Rb 0.7500 0.2500 0.3624
Rb 0.7500 0.7500 0.9944
Ta 0.2500 0.7500 0.2439
Ta 0.7500 0.2500 0.7561
F 0.0060 0.5340 0.2018
F 0.0060 0.9660 0.2018
F 0.2500 0.5469 0.3925
F 0.2500 0.7500 0.0508
F 0.2500 0.9531 0.3925
F 0.4940 0.5340 0.2018
F 0.4940 0.9660 0.2018
F 0.5060 0.0340 0.7982
F 0.5060 0.4660 0.7982
F 0.7500 0.0469 0.6075
F 0.7500 0.2500 0.9492
F 0.7500 0.4531 0.6075
F 0.9940 0.0340 0.7982
F 0.9940 0.4660 0.7982

The value obtained for the calculated total energy is -265.1 eV per cell. The formation energy is -3.419 eV/atom.

***

Number 1: total magnetic moment 0.00 μB per formula unit. Number 2: total magnetic moment 0.00 μB per formula unit. Number 3: total magnetic moment 0.00 μB per formula unit.

~~~~~

First-principles (PBE with a Hubbard U) data for a geometry-optimized Sr5Ca3MnFe7O24 structure, as listed in Materials Project.

```
data_Sr5Ca3MnFe7O24
_chemical_formula_sum 'Sr5 Ca3 Mn1 Fe7 O24'
_space_group_name_H-M_alt 'P 1'
_space_group_IT_number 1
_space_group_name_Hall 'P 1'
_cell_length_a 7.776
_cell_length_b 7.776
_cell_length_c 7.771
_cell_angle_alpha 89.99
_cell_angle_beta 89.99
_cell_angle_gamma 89.99
loop_
_atom_site_label
_atom_site_type_symbol
_atom_site_fract_x
_atom_site_fract_y
_atom_site_fract_z
Ca1 Ca 0.251 0.749 0.251
Ca2 Ca 0.749 0.749 0.251
Ca3 Ca 0.749 0.251 0.251
Sr1 Sr 0.250 0.250 0.750
Sr2 Sr 0.250 0.750 0.750
Sr3 Sr 0.750 0.750 0.750
Sr4 Sr 0.250 0.250 0.250
Sr5 Sr 0.750 0.250 0.750
Fe1 Fe 0.501 0.501 0.002
Fe2 Fe 0.501 0.999 0.498
Fe3 Fe 0.501 0.999 0.002
Fe4 Fe 0.999 0.501 0.002
Fe5 Fe 0.999 0.999 0.002
Fe6 Fe 0.999 0.999 0.498
Fe7 Fe 0.999 0.501 0.498
O1 O 0.249 0.997 0.496
O2 O 0.501 0.501 0.748
O3 O 0.503 0.997 0.249
O4 O 0.997 0.251 0.004
O5 O 0.748 0.501 0.494
O6 O 0.999 0.751 0.494
O7 O 0.503 0.249 0.004
O8 O 0.751 0.501 0.006
O9 O 0.997 0.503 0.249
O10 O 0.503 0.252 0.496
O11 O 0.251 0.997 0.004
O12 O 0.999 0.501 0.751
O13 O 0.501 0.999 0.751
O14 O 0.997 0.249 0.496
O15 O 0.249 0.503 0.004
O16 O 0.999 0.999 0.749
O17 O 0.503 0.503 0.252
O18 O 0.501 0.751 0.006
O19 O 0.997 0.997 0.251
O20 O 0.999 0.749 0.006
O21 O 0.501 0.748 0.494
O22 O 0.252 0.503 0.496
O23 O 0.751 0.999 0.494
O24 O 0.749 0.999 0.006
Mn1 Mn 0.501 0.501 0.498
```

Calculated values
SG: Cm (8)
ΔE_f (eV per atom): -2.237

---

First-principles (PBE with a Hubbard U) data for a geometry-optimized Sr6Ca2MnFe7O24 structure, as listed in Materials Project.

```
data_Sr6Ca2MnFe7O24